T100 Triathlon World Tour (PTO 2024)

I wouldn’t call them tune up races so much as races where you get paid well even if you walk round :wink:


Obviously with the pay structure that is going to happen, but I’ll also say the downside to that- you wont be around long in the T100 series after 1 year if your a BOP athlete (whether you are “trying” or just showing up for the pay check). You will be “relegated”; which for her that may not be that big of a deal if she’s winning IM WC’s.

The 70.3 specialists aren’t going to target the IM series but several will still target the world championship indeed. It was interesting to hear Paula Findlay explain in the TTL podcast that several of her contracts are still tied to IM podiums and Eric add that several brands that are not Tri specific haven’t really caught up with the PTO hype yet. She will definitely focus on T-100 but said she would probably do a couple 70.3s and maybe worlds.

Athletes will probably have to run through a lot of scenarios and maths this year depending on their bonus structures and we will most likely see several of the T-100 athletes adjust their calendars halfway through depending on where they stand. In that vein, Fred Funk was also explaining on the Triathlon Hour that - not being a true podium contender at T-100 - he would probably make more trying to be on podiums in other series as it sounds like his contracts are more tied to podiums but he just want to race the best.

I’m sure a lot of athletes are in it for the competition and the allure but at some point if you just constantly get your ass kicked you’re probably going to need some reassurance/validation and try another series. Oddly enough, I also wonder if those that will fell towards the back of the T-100 have a better shot at improving their rankings and/or getting a wildcard for next year by doing a few outside podiums even if the point system is clearly favoring the T-100 circuit.

Will be a super interesting year. I’m mostly interested by those that are going to target both the T-100 and 140.6 World championship. Particularly curious to see Sam Laidlow’s season, I really hope for him he gets his Kona dream but it looks like with 2 IM (Vitoria and Kona) + T-100 he’s really “super charging” his season for someone that has an history of being rather “fragile”.

I’m getting really impatient for this season!

T100 California is going to San Francisco and teaming up with Escape!

Looks like the PTO USA race will be Escape from Alcatraz in San Francisco on June 8. Just ran into some road closure information posted by the PTO in my neighborhood in the Inner Richmond in SFPosted by the Professional Athletes Organization Triathlon . . . mmmm who dey OYL
https://www.escapealcatraztri.com/ (on June 9)This would be the worst bike ever to watch! Thank goodness this guy signed up today to tell us!!!After all that, I am not saying (double negative alert) that having the T100 race there, the day before Alcatraz wouldn’t be viable. The bike loop is 18 miles but 5 laps turning at the Palace of the Legion of Honor would fit nicely, and keep things compact (for both tele-visual and road side spectators) with the run below (with sand and steps: I really hope so). And would also meet several of PTO’s requirements: iconic venue, ‘big city’, race for amateurs, spectators on the course, proven RD and org. Starts might reasonably be 8am and 11am for broadcast and spectator friendliness.
Might we assume Renouf’s oft repeated “southern” was an effort to minimise focus on this Californian possibility. PTO will be announcing the venue shortly: in the ProTriNews interview he said (iirc) that there was one more (?city authority) permission to get. Next week, to maintain the PTO/T100 SM dominance/stream of consciousness.OK, I jumped the gun on my negativity - I hate that haha. It definitely doesn’t mean that’s the exact bike course, for sure. Or…Even the bike course? When I try to map it out on strava, that is only like a mile and a half assuming they aren’t going to do the out and backs on each road. Is there somewhere that they could have the swim at say - China Beach? And then you have the outer part the bike course into the Presidio (I think) that they could loop?https://www.instagram.com/p/C3icVIuroKX/

This is super exciting and in absolute opposition to the (IMO often valid) comments about boring PTO courses. I’m thrilled and hope for athletes like Josh Amberger and Eric Lagerstrom to get wild cards there!

To confirm, is the pro race at Escape now gone in favor of the T100 series race? I’m assuming the bike course will be altered as well? The famous steps on the run course…in or out?

This is their biggest pull as an “iconic” venue. As Jose Skipper mentioned in the. comments, “will they butcher the course” to make it “T100” friendly?

This is super exciting and in absolute opposition to the (IMO often valid) comments about boring PTO courses. I’m thrilled and hope for athletes like Josh Amberger and Eric Lagerstrom to get wild cards there!

It will be interesting how they do the course though. I don’t think they are planning on doing the Escape course - would they do the swim? There’s a lot of possibilities but also unsure as to what they will actually be thinking out there as well for the spectating part of the race.

So Kat Matthews will be doing both the IM Pro Series and the T100 series. There’s no doubt though that Nice and Taupo are her A races. It’s gonna be. Pretty tough schedule including two more IMs, 70.3 Estonia, and the 6 other T100 races. I guess she’ll never say it, but it looks like the T100 races will just be mere tune up races or catered training days.https://www.instagram.com/p/C3iHDGhI8ZS/
Is she the only athlete who’s said they’ll try this?
I see Philipp (on her video) has said her A* race is Nice. She has yet to validate her IMWC podium AQ, so that’s an IM before 20 August to add to her load. Same would go for Haug, Ryf (am assuming Knibb will not race Nice but post Olympics concentrate on the T100 and then Taupo; but NB she needs to validate her AQ slot for that before end June). Sodaro will validate for Nice provided she finishes IMNZ.

The IM Series requires 5 scores, with IMs scoring double the 70.3s, the two WCs getting a 20% bonus and only allowed to score 3 x IM in the ‘5 to score’. Matthews could treat Taupo as a “catered training day” or miss it (and the travel) at the end of a long season but that’d leave her with only 4 scores. After Nice she’d know where the other competition sits.

A T100 contract requires the athlete to race 5 times in ‘regular season’ and once in the ‘play off’. But with only 4 to score, for those who can’t (or don’t want to) go all in on every race, an athlete can target key races and afford to drop 2.
Looks like she will just roll with the events ((1) Miami (miss Singapore which gives 7 weeks to) IM Texas, (6 weeks to) (2) SF, and then an ‘easy’ IM between that and (3) London (end July). Tallinn late August, 4 weeks before Nice. Recover (miss either Ibiza depending how rekt, or LV) and then both events in November (Dubai and ME GF) which achieves the 5+1 as contracted.
With an improved swim, Matthews is good enough to place T100 Series top 10 scoring her four best (the requirement for 2025 auto-contract) but controlling (not making) 100% effort every race will be a disciplinary challenge. It also risks undermining her psychological competitive edge when the going gets tough, which it surely will.

To confirm, is the pro race at Escape now gone in favor of the T100 series race? I’m assuming the bike course will be altered as well? The famous steps on the run course…in or out?

This is their biggest pull as an “iconic” venue. As Jose Skipper mentioned in the. comments, “will they butcher the course” to make it “T100” friendly?

Could do a lollipop with loops in in the park, but hopefully they just leave the course alone and forget about the nebulous 100K distance (I doubt that will be the case)

To confirm, is the pro race at Escape now gone in favor of the T100 series race? I’m assuming the bike course will be altered as well? The famous steps on the run course…in or out?

This is their biggest pull as an “iconic” venue. As Jose Skipper mentioned in the. comments, “will they butcher the course” to make it “T100” friendly?

Could do a lollipop with loops in in the park, but hopefully they just leave the course alone and forget about the nebulous 100K distance (I doubt that will be the case)

A flagship event hosted at the famous Escape from Alcatraz triathlon. For sure it will be 100k - I surmise they might make it out towards the outer part of the bike and run course - which seems to be more fun anyways - to keep the Saturday traffic out of anything downtown? Swim at like…China Beach or something? Maybe not - I really wish they would release courses, just like everyone else does lol

Thx for posting that interview. JK’s podcasts are not in my rotation so I would have never listened if not for your post.

Materials data that have nothing to do with the entry:
┌──
The following is a DFT calculation (GGA-PBE) of a relaxed Ca2C crystal.

The structure in POSCAR format:
```
Ca2C
1.0
6.012 0.000 0.000
0.000 6.012 0.000
0.000 0.000 4.002
Ca C
4 2
direct
0.193 0.193 0.000
0.307 0.693 0.500
0.693 0.307 0.500
0.807 0.807 0.000
0.000 0.000 0.500
0.500 0.500 0.000
```

energy of formation from the pure elements	300	meV per atom
Fermi-level density of states	0.27	states/eV per atom
calculated density	2.1	Mg/m³
energy above the most stable polymorph in this dataset	266	meV/atom
DFT total energy	-4.109	eV per atom
magnetic moment	0.000	μB per cell

=====

The following is a DFT calculation (GGA-PBE) of a relaxed Sm5Tl6 crystal.

The structure in POSCAR format:
```
Sm5Tl6
1.0
3.190 -6.764 0.000
3.190 6.764 0.000
-2.749 0.000 7.728
Sm Tl
5 6
direct
0.000 0.000 0.000
0.286 0.714 0.000
0.348 0.652 0.500
0.652 0.348 0.500
0.714 0.286 0.000
0.085 0.816 0.305
0.184 0.915 0.695
0.477 0.477 0.800
0.523 0.523 0.200
0.816 0.085 0.305
0.915 0.184 0.695
```

energy of formation from the pure elements	-216	meV per atom
Fermi-level density of states	1.00	states/eV per atom
calculated density	9.8	Mg/m³
energy above the most stable polymorph in this dataset	74	meV/atom
DFT total energy	-3.651	eV per atom
magnetic moment	0.000	μB per cell

=====

The following is a DFT calculation (GGA-PBE) of a relaxed TiCu2MoAu crystal.

The structure in POSCAR format:
```
TiCu2MoAu
1.0
4.594 0.000 0.000
0.000 4.594 0.000
0.000 0.000 4.951
Ti Cu Mo Au
1 2 1 1
direct
0.000 0.000 0.000
0.000 0.500 0.500
0.500 0.000 0.500
0.500 0.500 0.000
0.500 0.500 0.500
```

energy of formation from the pure elements	1350	meV per atom
Fermi-level density of states	1.24	states/eV per atom
calculated density	7.4	Mg/m³
DFT total energy	-4.690	eV per atom
magnetic moment	0.000	μB per cell

=====

The following is a DFT calculation (GGA-PBE) of a relaxed TbCu5Ag crystal.

The structure in POSCAR format:
```
TbCu5Ag
1.0
8.175 0.000 0.000
0.000 5.045 0.000
0.000 0.000 10.368
Tb Cu Ag
4 20 4
direct
0.244 0.250 0.065
0.256 0.750 0.565
0.744 0.250 0.435
0.756 0.750 0.935
0.055 0.750 0.105
0.068 0.002 0.313
0.068 0.498 0.313
0.089 0.250 0.517
0.185 0.250 0.746
0.315 0.750 0.246
0.411 0.750 0.017
0.432 0.502 0.813
0.432 0.998 0.813
0.445 0.250 0.605
0.555 0.750 0.395
0.568 0.002 0.187
0.568 0.498 0.187
0.589 0.250 0.983
0.685 0.250 0.754
0.815 0.750 0.254
0.911 0.750 0.483
0.932 0.502 0.687
0.932 0.998 0.687
0.945 0.250 0.895
0.137 0.750 0.862
0.363 0.250 0.362
0.637 0.750 0.638
0.863 0.250 0.138
```

energy of formation from the pure elements	-168	meV per atom
Fermi-level density of states	0.44	states/eV per atom
calculated density	9.1	Mg/m³
DFT total energy	-4.163	eV per atom
magnetic moment	0.000	μB per cell

=====

The following is a DFT calculation (GGA-PBE) of a relaxed DyAg4Au crystal.

The structure in POSCAR format:
```
DyAg4Au
1.0
0.000 3.898 3.898
3.898 0.000 3.898
3.898 3.898 0.000
Dy Ag Au
1 4 1
direct
0.000 0.000 0.000
0.375 0.375 0.375
0.375 0.375 0.874
└──
Here the entry continues:

I thought it was a good interview. To hear they are going to do an specific anti doping program, I’m very skeptical, but that may be way easier to say they are going to do something than actually doing something (they mention specific in and out of comp testing)….I’m super skeptical on that especially when they are going to do in house and getting other agencies to test….which means testing data sorta gets lost imo.

Inserted here: materials data =
********
A plane-wave DFT calculation with PBE-GGA was carried out for a relaxed structure of MgCrMo2.

Unit cell a=5.2534 b=5.2095 c=2.6471 alpha=80.87 beta=79.10 gamma=117.14
With the nearest neighbours (Å) after each atom.
Fractional coordinates of all 4 atoms:
1 Cr 0.0000 0.5000 0.5000  2 Cr 2.65, 2 Mg 2.71, 4 Mo 2.73
2 Mg 0.5000 0.5000 0.0000  2 Mg 2.65, 2 Cr 2.71, 4 Mo 2.73
3 Mo 0.0000 0.0000 0.0000  4 Mo 2.65-2.71, 2 Mg 2.73, 2 Cr 2.73
4 Mo 0.5000 0.0000 0.5000  4 Mo 2.65-2.71, 2 Cr 2.73, 2 Mg 2.73

Calculated values
- Calculated formation energy: 0.362 eV per atom
- Fermi-level density of states: 0.759 states/eV/atom
- DFT total energy: -31.43 eV per cell

=====

[1]
This record from Alexandria describes a relaxed PrScCd2Hg4 crystal. The functional is PBE.

The volume comes out at 23.4 Å³/atom. Its size of the total moment is 0.0 μB/f.u.

The structure belongs to space group R-3m (No. 166, hexagonal axes); the cell edges are 5.0690, 5.0690 and 25.1943 Å and the angles 90.00°, 90.00° and 120.00°. The distinct sites, in fractional coordinates, are Pr at (0.0000, 0.0000, 0.0000), Sc at (0.0000, 0.0000, 0.5000), Cd at (0.0000, 0.0000, 0.2511), Hg at (0.0000, 0.0000, 0.1307) and Hg at (0.0000, 0.0000, 0.3825).



[2]
This record from Alexandria describes a relaxed PrSmCdHg crystal. The functional is PBE.

As for the energy above the most stable polymorph in this dataset: 0 meV per atom. The volume comes out at 28.3 Å³/atom. Its size of the total moment is 0.8 μB/f.u.

The structure belongs to space group P4mm (No. 99); the cell edges are 3.8336, 3.8336 and 7.7010 Å and the angles 90.00°, 90.00° and 90.00°. The distinct sites, in fractional coordinates, are Pr at (0.0000, 0.0000, 0.0000), Sm at (0.0000, 0.0000, 0.4960), Cd at (0.5000, 0.5000, 0.7394) and Hg at (0.5000, 0.5000, 0.2603).



[3]
This record from Alexandria describes a relaxed PrSmCdHg crystal. The functional is PBE.

As for the energy above the most stable polymorph in this dataset: 4 meV per atom. The volume comes out at 28.3 Å³/atom. Its size of the total moment is 1.0 μB/f.u.

The structure belongs to space group F-43m (No. 216); the cell edges are 7.6763, 7.6763 and 7.6763 Å and the angles 90.00°, 90.00° and 90.00°. The distinct sites, in fractional coordinates, are Pr at (0.0000, 0.0000, 0.0000), Sm at (0.0000, 0.0000, 0.5000), Cd at (0.2500, 0.2500, 0.2500) and Hg at (0.2500, 0.2500, 0.7500).



Results for ΔE_f: -0.33; -0.39; -0.39 (in eV per atom, following the order of the records).

=====

Record 1
Density functional theory data (PBEsol) for CrSb2Au after structural relaxation.

Cell and atoms, written as POSCAR:
```
CrSb2Au
1.0
-1.7407 0.2071 3.8389
-4.1477 -1.1154 -1.8205
3.7676 -3.5716 -0.4186
Au Cr Sb
1 1 2
Direct
0.5000 0.0000 0.0000 Au
0.0000 0.5000 0.0000 Cr
0.7498 0.7498 0.4997 Sb
0.2502 0.2502 0.5003 Sb
```

Properties
V (Å³/atom): 20.4
E_form (uncorrected) (meV/atom): 329

---

Record 2
Density functional theory data (PBEsol) for Ba3RhPb after structural relaxation.
********

The Malibu race “issue” against SLT (SuperTri now) is imo the only “black eye” against the PTO (in addition to the long delay in releasing the schedule, 3 months “late”). It certainly created a pto vs SLT dynamic whether they wanted to or not by “financially supporting” the old owner.

I wonder what people mean when they say this. You either contract with the host nation Anti-Doping agency or companies like ITA which are under the WADA code. If you do something else I’m unsure that works. Effectively, you need to go to a WADA certified lab.

I just want an easy to find anti doping testing table that shows when and how often athletes are tested. You can find that on some of the wada sanctioned tests (USADA testing history for example), but I just went to the ITA website to just see how easy to find “testing results”. A search came up with nothing. So I just want an easy to find database, now of course that’s sorta a pain in the ass because you have many of these athletes in federation protocols, tested by other race agencies, etc; but at some point just have an easy to find anti doping test results page, please. Especially if it’s a priority or knotch on your belt that you want kudos for.

I’m just going by what PTN reported that there are 11 wild card slots up for grabs with 3 for the men and 8 for the women. Ash Gentle also mentioned in Jack Kelly’s podcast that she’s skipping Miami. Chelsea Sodaro and Amelia Watkinson are doing IM NZ. Even if you take out those focusing on the Olympics (Duffy, Knibb, Spivey, Van Riel), it’s just weird that the PTO has been hyping the season-long narrative angle the whole time and yet not everyone will be racing in the first race.

It’s a little odd the first race of the season won’t have the big hitters, but I kinda blame the PTO for announcing evening so late. I also think this is being blown out of proportion. My favorite athletes in cycling, NBA, and soccer/football don’t play anywhere near 100% of the games and nobody has any trouble telling a season long narrative.

I’m just going by what PTN reported that there are 11 wild card slots up for grabs with 3 for the men and 8 for the women.//

But I dont think you are. 11 out of 40, unless I just lost all my math skills, is not half, or even near half as you posted here…

And I have some more news for you, there will be no race during their season that has everyone present as you also seem to expect. You use hyperbole wherever you can against this series, do you have some hidden agenda against them? I know there are others here that do, they try to hide it sometimes, but we all know who they are. SO what did they do to get your ire up against the most lucrative pro series ever, in the entire history of the sport?

They have laid out their plans, we know the basics of the contracts of the pros, and there has yet to be one race completed, and you are already disappointed. For me, I’m anxiously awaiting that first race, will be very interested in the wild cards because no doubt those folks will help make the race a little more interesting. And no matter who shows up for their first commitment, there will be a series leader with some narrative going forward to the next stop…

Having 3 US races in the US, for anyone outside of the US puts them at a disadvantage. So whether they skip the Miami race or the SF race, at some point races will be skipped. By default until we get to the later races, the “season standings” will favor the athletes who show up each race and get max points. So by default all the what 11 or so who are “predicted” to skip Miami will be at a “disadvantage” until they reach their max scores later in the season. So the standings will kinda always be evolving and someone like Ajax is going to have to to “T100 math” each week with the +/- or offset points to actually know what the athletes need to do (my brain hurts from doing the GJ/KZ math for the final US ranking spot, so I’ll pass on that math equation, ha; so slightly complicated but not as complicated as the WT standings with 1st year numbers that drop off and then other scores that replace, atleast this is only a half dozen races with the same race weight to figure out).

And I have some more news for you, there will be no race during their season that has everyone present as you also seem to expect. You use hyperbole wherever you can against this series, do you have some hidden agenda against them? I know there are others here that do, they try to hide it sometimes, but we all know who they are. SO what did they do to get your ire up against the most lucrative pro series ever, in the entire history of the sport?

If you just want an echo chamber talk to yourself people can have different views. So far it is only lucrative to 20-40 pro triathletes not sure who else it benefitting lucratively.

I like pto alot personally but I do think it is about to water down our big events every year like you mentioned not everyone always races but we always know which day they plan to be ready for either way.

Now we are seeing some top guys say “ I am using T100 to prep for kona “ that wasn’t what we were sold or what t100 contracted them for ? We were supposed to get the best vs the best every effort but ??? They can’t race that much.

So we may see some half ass efforts to fill the contract rather then go all in everyone in x day like kona 2019 or even 70.3 worlds 2018. Big big lead ups and top talent all ready to go.

Like someone mentioned top pros don’t bring it every game or make every game but they dont miss in the playoffs and finals and now we have gone from 2 playoffs a year Roth and 70.3 worlds with one championship kona too not sure yet???

5-8 regular season games and a weaker 70.3 , championship in kona maybe and Nice should be a championship but some may agree a playoff calibre. T100 final ytbd. They have to stay healthy long enough.

Old day Germany IM , Texas and Oceanside were Xmas day and thanksgiving day game regular season but big hype and matchups

I’m not so sure about this narrative that the PTO has only helped the 20 or so contracted athletes.

They’ve put the top athletes into a new series which leaves more of the money from all of the other races to be shared around the non PTO contracted athletes as there will be fewer top athletes racing IM and 70.3

Added to that there is now the Ironman series bonus.

It’s a win for everyone.

I’m just going by what PTN reported that there are 11 wild card slots up for grabs with 3 for the men and 8 for the women.//

But I dont think you are. 11 out of 40, unless I just lost all my math skills, is not half, or even near half as you posted here…

And I have some more news for you, there will be no race during their season that has everyone present as you also seem to expect. You use hyperbole wherever you can against this series, do you have some hidden agenda against them? I know there are others here that do, they try to hide it sometimes, but we all know who they are. SO what did they do to get your ire up against the most lucrative pro series ever, in the entire history of the sport?

They have laid out their plans, we know the basics of the contracts of the pros, and there has yet to be one race completed, and you are already disappointed. For me, I’m anxiously awaiting that first race, will be very interested in the wild cards because no doubt those folks will help make the race a little more interesting. And no matter who shows up for their first commitment, there will be a series leader with some narrative going forward to the next stop…

Sure forgive me for being far from exact. But 8 of 20 women missing in the first race is for me still a significant number. Obviously, I know that that the athletes are contracted to race a minimum of 5 races plus the grand final so there are bound to be missing athletes in the start lists. But that weakens the appeal of the series if the PTO wants to attract a new audience. If the T100 races are the gold standard events in the sport, why then are contracted athletes skipping some of the events?

In which of my posts have I exhibited a hidden agenda towards the PTO? I’ve watched all their races even the Collins’ Cup. I follow their content on socials and appreciate how they promote the athletes. I want them to succeed and grow the sport. But it doesn’t mean that I can’t criticize how the events are handled. We don’t have to be so polarized on this.

On the narrative, let’s go back to the women’s race. Say Annie Haug wins Miami. The narrative can be that she won because Ash Gentle didn’t race and we’ll have to wait until Singapore to see. So my guess is that won’t stop unless we get to see the highest ranked athletes racing consistently together which the PTO promised.